- - -
No. 1
Simulated X-ray diffraction stick pattern
Compound: CaPr2Nd3Sm6
Radiation: Cu Kα, 1.54184 Å
Structure: a DFT-relaxed cell (PBE, Alexandria)

Principal peaks in the range 10° ≤ 2θ ≤ 80°, by intensity:
2theta	d (Å)	I_rel
29.79	2.999	100
34.54	2.597	51
58.98	1.566	40
49.65	1.836	36
61.88	1.499	12
72.84	1.298	6
59.04	1.565	4
16.27	5.447	1
14.79	5.991	1
16.82	5.270	1

Structure:
```
data_CaPr2Nd3Sm6
_chemical_formula_sum 'Ca1 Pr2 Nd3 Sm6'
_cell_length_a 6.3650
_cell_length_b 6.3650
_cell_length_c 12.1701
_cell_angle_alpha 95.01
_cell_angle_beta 95.01
_cell_angle_gamma 120.02
_symmetry_space_group_name_H-M 'P 1'
_symmetry_Int_Tables_number 1
_symmetry_space_group_name_Hall 'P 1'
loop_
_atom_site_label
_atom_site_type_symbol
_atom_site_fract_x
_atom_site_fract_y
_atom_site_fract_z
Ca1 Ca 0.0000 0.0000 0.0000
Pr1 Pr 0.3331 0.6669 0.0000
Pr2 Pr 0.6669 0.3331 0.0000
Nd1 Nd 0.1659 0.8341 0.5000
Nd2 Nd 0.5000 0.5000 0.5000
Nd3 Nd 0.8341 0.1659 0.5000
Sm1 Sm 0.0846 0.4228 0.2528
Sm2 Sm 0.2529 0.2529 0.7467
Sm3 Sm 0.4228 0.0846 0.2528
Sm4 Sm 0.5772 0.9154 0.7472
Sm5 Sm 0.7471 0.7471 0.2533
Sm6 Sm 0.9154 0.5772 0.7472
```

***

No. 2
Simulated X-ray diffraction stick pattern
Compound: Nd5Te2Cl3O10
Radiation: Cu Kα, 1.54184 Å
Structure: a DFT-relaxed cell (PBE, Alexandria)

Principal peaks in the range 10° ≤ 2θ ≤ 80°, by intensity:
2theta	d (Å)	I_rel
27.46	3.248	100
31.24	2.863	79
31.34	2.854	35
24.33	3.659	33
53.48	1.713	31
46.24	1.963	30
33.12	2.705	25
43.49	2.081	24
49.67	1.836	16
55.71	1.650	15

Structure:
```
data_Nd5Te2Cl3O10
_chemical_formula_sum 'Nd5 Te2 Cl3 O10'
_cell_length_a 6.9999
_cell_length_b 6.9999
_cell_length_c 10.3062
_cell_angle_alpha 90.47
_cell_angle_beta 90.47
_cell_angle_gamma 48.13
_symmetry_space_group_name_H-M 'P 1'
_symmetry_Int_Tables_number 1
_symmetry_space_group_name_Hall 'P 1'
loop_
_atom_site_label
_atom_site_type_symbol
_atom_site_fract_x
_atom_site_fract_y
_atom_site_fract_z
Nd1 Nd 0.0000 0.0000 0.0000
Nd2 Nd 0.2894 0.2894 0.8960
Nd3 Nd 0.4012 0.4012 0.2310
Nd4 Nd 0.5988 0.5988 0.7690
Nd5 Nd 0.7106 0.7106 0.1040
Te1 Te 0.0882 0.0882 0.3274
Te2 Te 0.9118 0.9118 0.6726
Cl1 Cl 0.1559 0.1559 0.6537
Cl2 Cl 0.5000 0.5000 0.5000
Cl3 Cl 0.8441 0.8441 0.3463
O1 O 0.1089 0.6009 0.0581
O2 O 0.1869 0.7021 0.7969
O3 O 0.2298 0.2298 0.2879
O4 O 0.2979 0.8131 0.2031
O5 O 0.3991 0.8911 0.9419
O6 O 0.6009 0.1089 0.0581
O7 O 0.7021 0.1869 0.7969
O8 O 0.7702 0.7702 0.7121
O9 O 0.8131 0.2979 0.2031
O10 O 0.8911 0.3991 0.9419
```

***

No. 3
Simulated X-ray diffraction stick pattern
Compound: Y3Ag3IrO8
Radiation: Cu Kα, 1.54184 Å
Structure: a DFT-relaxed cell (PBE, Alexandria)

Principal peaks in the range 10° ≤ 2θ ≤ 80°, by intensity:
2theta	d (Å)	I_rel
37.02	2.428	100
32.22	2.778	80
15.95	5.556	48
30.98	2.887	34
54.16	1.693	32
52.54	1.742	31
30.60	2.921	18
63.68	1.461	17
67.43	1.389	16
15.35	5.773	12

Structure:
```
data_Y3Ag3IrO8
_chemical_formula_sum 'Y3 Ag3 Ir1 O8'
_cell_length_a 6.7729
_cell_length_b 6.7729
_cell_length_c 6.9803
_cell_angle_alpha 119.13
_cell_angle_beta 119.13
_cell_angle_gamma 60.02
_symmetry_space_group_name_H-M 'P 1'
_symmetry_Int_Tables_number 1
_symmetry_space_group_name_Hall 'P 1'
loop_
_atom_site_label
_atom_site_type_symbol
_atom_site_fract_x
_atom_site_fract_y
_atom_site_fract_z
Y1 Y 0.0000 0.0000 0.0000
Y2 Y 0.0000 0.5000 0.0000
Y3 Y 0.5000 0.0000 0.0000
Ag1 Ag 0.0000 0.5000 0.5000
Ag2 Ag 0.5000 0.0000 0.5000
Ag3 Ag 0.5000 0.5000 0.5000
Ir1 Ir 0.5000 0.5000 0.0000
O1 O 0.2280 0.2280 0.1832
O2 O 0.2632 0.7137 0.1899
O3 O 0.2863 0.2863 0.8102
O4 O 0.2863 0.7368 0.8101
O5 O 0.7137 0.2632 0.1899
O6 O 0.7137 0.7137 0.1898
O7 O 0.7368 0.2863 0.8101
O8 O 0.7720 0.7720 0.8168
```

***

No. 4
Simulated X-ray diffraction stick pattern
Compound: Pm2Al3Ir
Radiation: Cu Kα, 1.54184 Å
Structure: a DFT-relaxed cell (PBE, Alexandria)

Principal peaks in the range 10° ≤ 2θ ≤ 80°, by intensity:
2theta	d (Å)	I_rel
38.07	2.364	100
32.12	2.787	89
19.90	4.462	47
38.45	2.341	46
61.23	1.514	25
22.71	3.915	25
- - -

What is needed: work out how many lines further above have the word "Ca1" in them; a number is enough.

2